The Who - Name That Riff Main Pic I’m not a big fan of the majority of available widgets, apps, and games that bombard Facebook.  Most are garbage in my opinion, and do nothing other than clutter your profile or page.

The problem is many of these widgets were built with the old school marketing mentality of “if we build it, they will come.’”

Unrelated to this text: records of molecules:
87
Properties=species:S:1:pos:R:3 method="wB97M-V/def2-TZVPD" spin_multiplicity=2 orbital_gap_ev="5.0 / 6.2" e_above_lowest_kcal_mol=6.4 e_homo_ev="-2.4 / -3.7" total_charge=-1
Hg 0.44831 0.87478 -0.47155
C 0.11111 3.86006 1.10738
C 0.67864 2.88776 2.10871
C 0.78483 3.26451 3.43323
C 1.22887 2.30044 4.36205
C 1.58151 1.05718 3.93379
C 1.52613 0.72347 2.55000
N 1.03665 1.67424 1.66168
C 1.92845 -0.56276 2.08656
C 2.35551 -1.60091 2.97422
C 2.77549 -2.79347 2.46715
C 2.75105 -3.02920 1.07758
C 2.25079 -2.01695 0.27374
N 1.87414 -0.83632 0.74204
C 2.02620 -2.24060 -1.19140
C 1.89819 -3.51926 -1.72367
C 1.64355 -3.65095 -3.07909
C 1.48045 -2.51611 -3.85401
C 1.58998 -1.26991 -3.24184
C 1.30321 0.00085 -3.98166
N 1.90190 -1.15556 -1.95115
H 0.41471 4.88000 1.34711
H -0.98141 3.81989 1.12433
H 0.44242 3.62718 0.09628
H 0.50936 4.26460 3.73650
H 1.27562 2.53958 5.41816
H 1.89608 0.31912 4.65715
H 2.33591 -1.45635 4.04493
H 3.11181 -3.57448 3.13897
H 3.13010 -3.95245 0.66518
H 1.94729 -4.38976 -1.08548
H 1.54510 -4.63530 -3.52071
H 1.25726 -2.58321 -4.91076
H 1.52009 -0.09808 -5.04627
H 1.86938 0.83379 -3.56564
H 0.24484 0.24444 -3.84212
C -1.09904 0.29361 -1.77243
Ge -2.58174 0.09648 -0.60539
C -4.02602 -0.80882 -1.62959
C -5.05772 -0.13436 -2.28229
C -6.00399 -0.81764 -3.03882
C -5.93459 -2.19855 -3.16074
C -4.91971 -2.89130 -2.51174
C -3.98299 -2.20038 -1.75325
C -2.64436 -0.91712 1.09888
C -1.53199 -1.60889 1.57289
C -1.58304 -2.33442 2.75959
C -2.75978 -2.37860 3.49231
C -3.88538 -1.70552 3.02988
C -3.82620 -0.98650 1.84265
C -3.22902 1.91060 -0.15898
C -3.53072 2.34897 1.13047
C -3.96470 3.64945 1.36892
C -4.10589 4.54035 0.31418
C -3.78660 4.13089 -0.97507
C -3.34412 2.83364 -1.20411
H -0.73487 -0.71248 -2.04755
H -5.13139 0.94453 -2.19534
H -6.79959 -0.27151 -3.53333
H -6.66372 -2.73208 -3.75918
H -4.86204 -3.97095 -2.59306
H -3.20489 -2.75704 -1.23892
H -0.60614 -1.57605 1.00727
H -0.69980 -2.85994 3.10528
H -2.80243 -2.93505 4.42137
H -4.81039 -1.74392 3.59444
H -4.71668 -0.47969 1.48328
H -3.41678 1.66952 1.96815
H -4.18768 3.96882 2.38059
H -4.45913 5.54865 0.49608
H -3.87194 4.82798 -1.80103
H -3.04983 2.52805 -2.20274
N 5.40918 -1.22367 -2.49113
C 6.18151 -0.52423 -1.62237
O 7.39114 -0.66558 -1.55481
C 5.45801 0.45397 -0.74464
C 6.01670 0.78419 0.47783
C 5.34569 1.67462 1.29516
C 4.13691 2.19458 0.85813
N 3.58726 1.89631 -0.31828
C 4.25094 1.04770 -1.09955
H 5.85571 -1.96087 -3.00888
H 4.40721 -1.25087 -2.38851
H 6.96051 0.33814 0.76464
H 5.73982 1.95956 2.26145
H 3.57808 2.87476 1.48970
H 3.80275 0.84039 -2.06285

~~~~~

Record 1
A cluster of 10 separate species, C36H44Br12N4O8 in total. Source: the OMol25 dataset; level of theory: ωB97M-V/def2-TZVPD.

```
104
Properties=species:S:1:pos:R:3:lowdin_charge:R:1
O -2.324 3.482 0.883 -0.0098
N -3.364 4.103 0.908 -0.3138
O -3.450 5.248 1.430 0.0509
C -4.623 3.584 0.350 -0.1530
C -5.902 4.229 0.500 0.0159
C -7.057 3.562 0.125 -0.0854
C -7.014 2.327 -0.502 -0.0445
C -5.727 1.755 -0.723 -0.0536

The truth is, Facebook widgets fail for the following reasons: 

  • They provide zero value, and do nothing but act as bulletin boards for a product or brand.
  • There is no level of engagement  that relates to the user.
  • They rely on a flashy gimmicky presence to create a viral whirlwind.
  • The existing culture and loyalty of the brand was never taken into consideration.

So when I came across The Who’s Facebook game, Name That Riff, I was skeptical. Being a big Who fan, my concern was their game would fall into the above reasons of Facebook widget purgatory. That wouldn’t be the case.

Name That Riff works.

The game provides loyal fans an opportunity to show off their knowledge of The Who.  The design is strong and fits in the visual identity the band has built since the 60’s. Most importantly the game is simple and doesn’t take much time.

Inserted here: molecular data:
********
# 1
{
  "formula": "C25H30Ge2N4O3RuS",
  "method": "ωB97M-V with the def2-TZVPD basis set",
  "orbital_gap_ha": [0.28565, 0.21238],
  "multiplicity": 6,
  "charge": 1,
  "homo_ev": [-10.658, -10.774],
  "e_lumo_ev": [-2.885, -4.994],
  "symbols": ["Ru", "Ge", "Ge", "S", "O", "O", "O", "N", "N", "N", "N", "C", "C", "C", "C", "C", "C", "C", "C", "C", "C", "C", "C", "C", "C", "C", "C", "C", "C", "C", "C", "C", "C", "C", "C", "C", "H", "H", "H", "H", "H", "H", "H", "H", "H", "H", "H", "H", "H", "H", "H", "H", "H", "H", "H", "H", "H", "H", "H", "H", "H", "H", "H", "H", "H", "H"],
  "positions_angstrom": [[-0.35, 1.87, -0.34], [-2.07, -2.34, 2.83], [-0.26, -1.69, 1.06], [-0.24, 0.59, 1.92], [0.62, 1.27, -2.12], [-0.96, 3.77, -0.07], [-2.66, 5.15, -0.05], [1.68, 0.46, 3.62], [1.82, 1.83, 0.34], [-2.45, 1.83, -1.41], [2.27, 1.54, 1.63], [3.56, 3.25, -2.50], [1.64, 1.88, -2.63], [2.43, -2.38, 1.85], [3.44, 3.53, -3.89], [4.50, -1.84, 0.68], [-0.70, -1.57, -1.73], [3.80, -2.43, 1.75], [-1.34, -1.61, -0.51], [2.76, 2.28, -0.43], [1.61, 2.01, -3.98], [1.44, 0.96, 2.40], [-2.77, -2.07, -2.79], [1.67, -1.87, 0.79], [-1.36, -2.05, 4.65], [-2.79, 3.33, -1.62], [-2.19, 4.14, -0.51], [-3.24, -0.63, 2.63], [2.36, -1.22, -0.26], [-3.09, -4.03, 2.53], [-1.42, -1.78, -2.89], [-2.74, -1.86, -0.43], [2.42, 2.87, -4.65], [-3.45, -2.05, -1.60], [3.75, -1.26, -0.32], [2.66, 2.46, -1.85], [-1.98, -2.41, 5.48], [0.94, -0.08, 4.06], [5.58, -1.79, 0.68], [1.90, -0.76, -1.09], [0.78, 1.59, -4.56], [-2.13, 1.37, -2.28], [-2.45, 3.75, -2.57], [-3.52, -0.29, 3.64], [-3.02, -4.38, 1.47], [-4.17, -0.86, 2.15], [-0.35, -2.51, 4.76], [-3.31, -1.81, 0.50], [0.33, -1.39, -1.85], [4.37, -2.85, 2.62], [-3.83, 3.52, -1.71], [4.35, -0.88, -1.13], [2.48, 0.91, 4.10], [-3.29, -2.47, -3.65], [-2.62, -4.69, 3.24], [4.23, 4.12, -4.24], [-4.11, -3.86, 2.91], [1.95, -2.72, 2.74], [-2.79, 0.17, 2.07], [-4.51, -2.15, -1.62], [3.73, 2.54, -0.03], [-3.32, 1.40, -1.22], [-0.91, -1.79, -3.85], [2.26, 3.27, -5.66], [-1.32, -0.97, 4.86], [4.37, 3.69, -1.92]]
}

=====

# 2
{
  "formula": "C32H54AsBBr2CsN7O3Si3",
  "method": "ωB97M-V with the def2-TZVPD basis set",
  "de_lowest_ev": 0.821,
  "orbital_gap_ha": 0.22108,
  "charge": -2,
  "homo_ev": -2.271,
  "e_lumo_ev": 3.745,
  "symbols": ["Cs", "Br", "Br", "As", "Si", "Si", "Si", "O", "O", "O", "N", "N", "N", "N", "N", "N", "N", "C", "C", "C", "C", "C", "C", "C", "C", "C", "C", "C", "C", "C", "C", "C", "C", "C", "C", "C", "C", "C", "C", "C", "C", "C", "C", "C", "C", "C", "C", "C", "C", "B", "H", "H", "H", "H", "H", "H", "H", "H", "H", "H", "H", "H", "H", "H", "H", "H", "H", "H", "H", "H", "H", "H", "H", "H", "H", "H", "H", "H", "H", "H", "H", "H", "H", "H", "H", "H", "H", "H", "H", "H", "H", "H", "H", "H", "H", "H", "H", "H", "H", "H", "H", "H", "H", "H"],
********
Here the page continues:

  • You are given 17 music clips to listen to.
  • You must choose from 3 answers and have 30 seconds per clip.
  • Like the bar quiz games, the quicker you answer, the more points you rack up.
  • You are allowed three chances to improve your score.

The Who - Share on ProfileThis game picks songs from the entire Who archive.  Also songs start at random places to throw you off.  I fancy myself as a knowledgeable Who fan, but I tripped up at some of their selections.  Once done you can publish your score on your profile and in your news feed.  You can also compare your score with your friends on Facebook or globally.

The word of mouth aspect is very clever.

### Calculated molecules, as found in the file
~~~
Record 1
The following is a quantum chemistry calculation of a 2-piece molecular cluster, C6H14N2O2 overall, from the OMol25 dataset.

Results
- relative energy (zero: lowest compared OMol25 entry of this formula, charge and spin) (kcal per mole) = 24.0
- M (g mol⁻¹) = 146.2
- Kohn-Sham gap (eV) = 10.1
- HOMO energy (eV) = -9.196

```
24
Properties=species:S:1:pos:R:3:nbo_charge:R:1
C 1.3163 1.7190 -2.9217 -0.698
C 1.0450 2.0028 0.8650 -0.434
C 1.2243 1.2228 -1.4855 0.683
O 1.5371 0.0776 -1.2294 -0.628
N 0.9482 2.1756 -0.5607 -0.614
H 2.2976 2.1621 -3.0605 0.229
H 0.5870 3.0314 -0.9396 0.384
H 1.7439 1.1313 0.8800 0.228
H 1.2323 0.9109 -3.6417 0.240
H 0.5735 2.5062 -3.0890 0.204
H 1.5607 2.7839 1.4141 0.205
H 0.1154 1.6241 1.2983 0.205
C -2.9056 -1.0947 1.5123 -0.718
C 0.5739 -2.4167 0.7233 -0.428
C -1.6270 -1.4297 0.7539 0.665
O -1.2913 -0.7056 -0.1688 -0.631
N -0.8207 -2.4593 1.1485 -0.625
H -2.8177 -1.3392 2.5727 0.215
H -1.1325 -3.1014 1.8556 0.390
H 0.8692 -1.3944 0.4941 0.254
H -3.1551 -0.0585 1.2897 0.247
H -3.7802 -1.5532 1.0190 0.236
H 1.2616 -2.7965 1.4676 0.193
H 0.6442 -2.9983 -0.1973 0.198
```

Record 2
The following is a quantum chemistry calculation of a 2-piece molecular cluster, C6H14N2O2 overall, from the OMol25 dataset.

Results
- relative energy (zero: lowest compared OMol25 entry of this formula, charge and spin) (kcal per mole) = 74.9
- M (g mol⁻¹) = 146.2
- Kohn-Sham gap (eV) = 10.1
- HOMO energy (eV) = -9.554

```
24
Properties=species:S:1:pos:R:3:nbo_charge:R:1
C -0.2619 -2.5544 -0.9388 -0.711
C -2.0926 0.5132 -2.2476 -0.427
C -0.6783 -1.4473 -1.8037 0.636
O -0.6586 -1.2894 -3.0088 -0.623
N -1.3694 -0.3925 -1.2523 -0.631
H 0.9285 -2.6926 -0.9180 0.255
H -1.3642 -0.1779 -0.2710 0.378
H -2.1067 -0.0305 -3.2336 0.269
H -0.2656 -2.3770 0.2864 0.218
H -0.8624 -3.4061 -1.0786 0.252
H -3.0631 0.6202 -1.7966 0.190
H -1.6508 1.4985 -2.1716 0.201
C 2.3017 1.3458 0.0620 -0.429
C -0.1717 0.7358 2.9292 -0.741
C 1.0298 0.9560 2.0869 0.654
O 2.1079 1.1222 2.5959 -0.606
N 1.0275 0.8199 0.7016 -0.650
H 0.3858 0.2541 0.1789 0.394
H 3.1670 0.8926 0.5970 0.215
H 0.2324 0.9266 4.0086 0.254
H 2.3934 0.9701 -0.9070 0.207
H 2.5263 2.3605 0.3235 0.216
H -0.9077 1.6043 2.8338 0.237
H -0.6472 -0.2523 3.0239 0.242
```

Record 3
The following is a quantum chemistry calculation of a 2-piece molecular cluster, C6H14N2O2 overall, from the OMol25 dataset.

Results
- relative energy (zero: lowest compared OMol25 entry of this formula, charge and spin) (kcal per mole) = 43.3
- M (g mol⁻¹) = 146.2
- Kohn-Sham gap (eV) = 9.4
- HOMO energy (eV) = -8.911

```
24
Properties=species:S:1:pos:R:3:nbo_charge:R:1
C 2.7300 -0.9697 1.5843 -0.684
C 0.3921 2.0334 1.6614 -0.423
C 1.5586 -0.0301 1.2569 0.706
O 0.6971 -0.2790 0.4603 -0.651
N 1.4128 1.0711 2.0791 -0.640
H 2.9408 -1.4131 0.6313 0.237
H 2.1888 1.5238 2.6664 0.404
H -0.6572 1.6006 1.9122 0.215
H 3.4510 -0.2157 1.8943 0.208
H 2.4979 -1.6392 2.2962 0.232
H 0.6554 3.0115 2.2141 0.203
H 0.4736 2.2326 0.5776 0.208
~~~

Players are urged to challenge their friends. Doing so opens up bonus rounds that you can play to improve your score. And unlike other apps that rely on you spamming random friends, you’ll want to share it with other Who fans.

The Creative Corporation, who built this game, did their homework, and it shows. They took into account, what fans of The Who love, their music. By providing a simple but entertaining widget that people will want to use and share, they are successful.  It appears that Name That Riff was just released on, so it will be interesting to see how well it does.

Incidentally, if I happen to win the customized American Standard Stratocaster, I’ll let you know!